Data:
DFT (PBE) results for a geometry-optimized LaAs3 structure.

Geometry as POSCAR:
```
LaAs3
1.0
6.303 0.000 0.000
-3.151 5.458 0.000
0.000 0.000 5.816
La As
2 6
Cartesian
0.000 3.639 1.454 La
3.151 1.819 4.362 La
0.000 2.155 4.362 As
-1.285 4.381 4.362 As
1.866 1.078 1.454 As
1.285 4.381 4.362 As
4.436 1.078 1.454 As
3.151 3.303 1.454 As
```

SG   No. 194
Energy of formation   -633 meV per atom
N(E_F)   4.3 states/eV per cell
E_tot   -5.352 eV per atom
Magnetization   0.0 μB/cell

Job:
Say how many lines of the listing earlier on hold the word "Energy", as a bare number.

Reply:
1